Start at the top of the data further below and write out each line, ending with the one that has "1.493 -3.000".
+++
Record 1
DFT (wB97M-V/def2-TZVPD) results for a molecular structure, C4H3NOS in a non-equilibrium geometry.

```
10
Properties=species:S:1:pos:R:3:forces:R:3
C 0.978 0.199 0.930 2.57 -3.08 -4.51
C -0.382 0.058 0.105 -2.05 4.01 0.85
C -1.519 -0.898 0.053 0.92 -2.11 0.37
C -2.304 -1.862 0.090 2.05 -1.81 -1.29
H 3.047 -0.867 -1.270 -5.23 -0.94 2.50
H 0.804 0.917 1.702 0.96 -0.03 0.59
H -2.506 -3.094 -0.133 0.15 4.51 0.98
N 2.189 -0.220 0.369 -5.30 3.06 4.58
O 1.942 -0.988 -0.681 5.32 -0.22 -4.26
S -0.803 1.719 -0.281 0.60 -3.40 0.18
```
Forces are in eV/Å.

HOMO level (Ha): -0.324
Relative energy (zero: lowest compared OMol25 entry of this formula, charge and spin) (kcal per mole): 170.25
Total energy (eV): -18560.87023
Strongest force on any atom (Eh/bohr): 0.149

Record 2
DFT (wB97M-V/def2-TZVPD) results for a molecular structure, C26H51Br2IN4OSi2 in a non-equilibrium geometry.

```
87
Properties=species:S:1:pos:R:3:forces:R:3
C 4.713 -1.708 0.964 -0.53 -0.35 0.60
C 3.869 -2.405 2.131 0.11 0.31 0.24
C 2.956 -3.602 1.628 -0.01 0.50 0.08
I 1.971 -4.407 3.442 0.53 -0.13 -0.55
Si 1.493 -3.000 0.500 -0.26 0.26 1.96
O 0.207 -2.603 1.571 0.72 0.29 -3.66
Si -0.796 -1.313 0.990 -0.14 -0.26 1.92
C -0.217 0.485 1.421 0.08 0.54 -0.87
C 1.310 0.798 1.095 -0.16 2.20 -0.05
C 1.558 1.182 -0.446 0.16 -0.32 0.51
C 1.682 2.147 1.926 -0.26 -0.75 0.15
C -2.535 -1.553 1.851 -0.11 1.23 0.58
Br -3.311 -3.357 1.531 0.29 0.85 0.05
C -3.530 -0.349 1.568 0.04 -0.72 -0.96
C -4.324 -0.444 0.200 -0.10 0.10 0.35
Br -4.857 -0.323 3.063 0.30 0.21 -0.43
H 5.783 -1.599 1.304 -1.13 -0.10 -0.61
H 4.635 -2.362 0.048 0.37 0.92 0.76
H 4.269 -0.681 0.764 0.67 -1.28 -0.02
H 4.551 -2.780 2.960 -0.79 0.44 -1.07
H 3.232 -1.587 2.607 0.62 -1.29 -0.47
H 3.527 -4.464 1.169 -0.50 1.04 0.70
H 1.944 -1.738 -0.127 -0.02 -0.07 -0.14
H 1.154 -3.963 -0.546 -0.12 -0.26 -0.05
H -0.989 -1.452 -0.475 0.15 -0.10 -0.05
H -0.904 1.229 0.877 1.15 -0.73 0.45
H -0.371 0.637 2.532 0.03 0.17 -1.77
H 2.039 0.017 1.463 -1.08 0.52 -0.61
H 1.546 0.287 -1.134 -0.11 0.98 0.69
H 2.569 1.689 -0.535 -1.09 -0.70 0.03
H 0.783 1.943 -0.782 0.82 -0.98 0.43
H 2.516 1.910 2.659 -0.76 0.55 -0.98
H 0.794 2.465 2.552 1.01 -0.21 -0.76
H 1.942 2.972 1.201 -0.08 -0.76 1.03
H -2.306 -1.515 2.961 -0.57 -0.32 -1.61
H -2.982 0.647 1.612 -0.65 -1.39 0.18
H -5.071 0.404 0.153 0.92 -0.86 -0.03
H -4.917 -1.414 0.130 0.97 1.22 0.11
H -3.595 -0.363 -0.670 -0.87 -0.20 1.03
C 7.121 1.845 2.019 0.04 -0.01 -0.06
C 6.089 2.875 2.465 0.17 -0.09 -0.30
C 5.700 2.730 3.938 -0.34 -0.63 -0.18
C 5.102 1.381 4.178 -0.46 -0.88 0.46
N 4.636 0.330 4.364 0.74 1.74 -0.39
H 6.736 0.826 2.104 0.01 0.06 0.06
H 7.389 2.004 0.972 0.02 0.00 0.08
H 8.033 1.919 2.618 -0.04 -0.03 -0.05
H 5.198 2.780 1.836 -0.01 0.07 0.13
H 6.493 3.878 2.300 -0.10 -0.01 0.11
H 4.971 3.496 4.212 -0.01 -0.15 0.09
H 6.576 2.851 4.581 -0.08 -0.11 0.01
C -3.737 1.614 -5.033 0.00 0.06 0.49
C -3.579 1.725 -3.520 -0.27 -0.06 -0.24
C -2.144 1.473 -3.052 -0.09 -0.73 -0.15
C -1.717 0.091 -3.436 0.59 -0.96 -0.14
N -1.386 -0.985 -3.735 -0.62 1.84 0.48
H -3.503 0.607 -5.387 0.06 0.03 0.06
H -4.765 1.829 -5.324 0.13 0.04 -0.01
H -3.084 2.320 -5.547 -0.09 -0.07 0.08
H -4.256 1.013 -3.038 0.11 0.06 0.11
H -3.886 2.726 -3.202 0.10 -0.06 0.08
H -2.077 1.576 -1.966 0.14 -0.11 -0.06
H -1.460 2.195 -3.503 0.02 -0.13 -0.01
C -5.719 -1.021 -8.621 -0.06 -0.04 -0.01
C -4.490 -0.787 -9.492 -0.32 -0.12 -0.04
C -3.318 -0.179 -8.718 -0.38 0.63 0.10
C -3.713 1.150 -8.155 -0.04 1.03 0.38
N -4.020 2.182 -7.714 0.42 -1.75 -1.32
H -6.111 -0.084 -8.219 0.08 -0.03 0.01
H -6.517 -1.482 -9.207 0.06 -0.01 0.06
H -5.486 -1.684 -7.783 -0.04 0.05 -0.04
H -4.763 -0.132 -10.324 0.13 -0.03 0.04
H -4.173 -1.740 -9.924 0.11 0.10 0.02
H -2.459 -0.043 -9.379 -0.01 0.11 0.14
H -3.015 -0.837 -7.899 -0.01 0.13 0.02
C -0.912 0.522 6.533 -0.03 0.04 0.05
C -0.759 -0.985 6.709 -0.22 0.27 0.09
C 0.330 -1.582 5.814 -0.42 0.14 -0.54
C -0.003 -1.343 4.377 0.10 0.08 -1.22
N -0.263 -1.155 3.256 0.77 -0.85 4.91
+++
Record 1
DFT (wB97M-V/def2-TZVPD) results for a molecular structure, C4H3NOS in a non-equilibrium geometry.

```
10
Properties=species:S:1:pos:R:3:forces:R:3
C 0.978 0.199 0.930 2.57 -3.08 -4.51
C -0.382 0.058 0.105 -2.05 4.01 0.85
C -1.519 -0.898 0.053 0.92 -2.11 0.37
C -2.304 -1.862 0.090 2.05 -1.81 -1.29
H 3.047 -0.867 -1.270 -5.23 -0.94 2.50
H 0.804 0.917 1.702 0.96 -0.03 0.59
H -2.506 -3.094 -0.133 0.15 4.51 0.98
N 2.189 -0.220 0.369 -5.30 3.06 4.58
O 1.942 -0.988 -0.681 5.32 -0.22 -4.26
S -0.803 1.719 -0.281 0.60 -3.40 0.18
```
Forces are in eV/Å.

HOMO level (Ha): -0.324
Relative energy (zero: lowest compared OMol25 entry of this formula, charge and spin) (kcal per mole): 170.25
Total energy (eV): -18560.87023
Strongest force on any atom (Eh/bohr): 0.149

Record 2
DFT (wB97M-V/def2-TZVPD) results for a molecular structure, C26H51Br2IN4OSi2 in a non-equilibrium geometry.

```
87
Properties=species:S:1:pos:R:3:forces:R:3
C 4.713 -1.708 0.964 -0.53 -0.35 0.60
C 3.869 -2.405 2.131 0.11 0.31 0.24
C 2.956 -3.602 1.628 -0.01 0.50 0.08
I 1.971 -4.407 3.442 0.53 -0.13 -0.55
Si 1.493 -3.000 0.500 -0.26 0.26 1.96